[To do]
Next, write out everything underneath verbatim.
[Given]
/*
1.
Theoretical XRD peak list of ErHfZn4 for copper Kα, from DFT lattice parameters and positions (PBE).
Neutral-atom scattering factors, no anomalous dispersion.

Most intense lines, 10° ≤ 2θ ≤ 80°, in order of rising 2θ:
2θ (°)	I/Imax
23.32	25.8
36.38	100.0
40.98	60.0
47.69	4.0
55.94	28.6
56.82	7.6
62.25	3.8
71.64	26.9
72.41	21.5
74.65	9.7

Atomic structure:
```
data_ErHfZn4
_chemical_formula_sum 'Er1 Hf1 Zn4'
_cell_length_a 3.241
_cell_length_b 4.405
_cell_length_c 7.627
_cell_angle_alpha 90.00
_cell_angle_beta 90.00
_cell_angle_gamma 90.00
_symmetry_space_group_name_H-M 'P 1'
_symmetry_Int_Tables_number 1
loop_
_symmetry_equiv_pos_as_xyz
'x,y,z'
loop_
_atom_site_label
_atom_site_type_symbol
_atom_site_fract_x
_atom_site_fract_y
_atom_site_fract_z
Er1 Er 0.000 0.000 0.000
Hf1 Hf 0.000 0.500 0.500
Zn1 Zn 0.500 0.000 0.339
Zn2 Zn 0.500 0.000 0.661
Zn3 Zn 0.500 0.500 0.175
Zn4 Zn 0.500 0.500 0.825
```

***

2.
Theoretical XRD peak list of K2HgI4 for copper Kα, from DFT lattice parameters and positions (PBE).
Neutral-atom scattering factors, no anomalous dispersion.

Most intense lines, 10° ≤ 2θ ≤ 80°, in order of rising 2θ:
2θ (°)	I/Imax
11.85	34.5
14.66	15.1
17.63	100.0
20.09	29.6
23.83	50.0
29.57	19.6
30.43	41.2
31.19	29.3
33.57	26.1
44.28	31.1

Atomic structure:
```
data_K2HgI4
_chemical_formula_sum 'K4 Hg2 I8'
_cell_length_a 9.096
_cell_length_b 9.096
_cell_length_c 10.713
_cell_angle_alpha 103.22
_cell_angle_beta 103.22
_cell_angle_gamma 117.05
_symmetry_space_group_name_H-M 'P 1'
_symmetry_Int_Tables_number 1
loop_
_symmetry_equiv_pos_as_xyz
'x,y,z'
loop_
_atom_site_label
_atom_site_type_symbol
_atom_site_fract_x
_atom_site_fract_y
_atom_site_fract_z
K1 K 0.073 0.927 0.750
K2 K 0.324 0.676 0.250
K3 K 0.676 0.324 0.750
K4 K 0.927 0.073 0.250
Hg1 Hg 0.375 0.625 0.750
Hg2 Hg 0.625 0.375 0.250
I1 I 0.163 0.648 0.905
I2 I 0.244 0.260 0.595
I3 I 0.260 0.244 0.095
I4 I 0.352 0.837 0.595
I5 I 0.648 0.163 0.405
I6 I 0.740 0.756 0.905
I7 I 0.756 0.740 0.405
I8 I 0.837 0.352 0.095
```

* * * * *

No. 1
This entry pairs a crystal structure of CePtRh with its theoretical XRD peak list. Radiation: CuKα. Structure: a DFT-relaxed cell (PBE, the Materials Project).
Intensities are scaled so that the largest is 100.

Peak list (10 most intense, 10 to 80 degrees two-theta, in order of rising 2θ)
- (0 1 1), 2θ = 19.90°, intensity 26.7
- (1 1 2), 2θ = 32.97°, intensity 36.3
- (1 2 1), 2θ = 38.69°, intensity 50.0
- (0 1 3), 2θ = 38.80°, intensity 49.7
- (1 0 3), 2θ = 38.92°, intensity 25.4
- (2 1 1), 2θ = 39.06°, intensity 100.0
- (0 2 2), 2θ = 40.43°, intensity 48.2
- (2 0 2), 2θ = 40.91°, intensity 45.1
- (2 3 1), 2θ = 62.63°, intensity 25.3
- (2 2 4), 2θ = 69.15°, intensity 41.8

Atomic structure:
Unit cell a=5.387 b=5.479 c=7.687 alpha=90.00 beta=90.00 gamma=90.00
Space group Imma (No. 74)
Unique sites:
Ce 0.000 0.250 0.126 (multiplicity 4)
Pt 0.250 0.250 0.750 (multiplicity 4)
Rh 0.000 0.000 0.500 (multiplicity 4)


No. 2
This entry pairs a crystal structure of ZrS2 with its theoretical XRD peak list. Radiation: CuKα. Structure: a DFT-relaxed cell (PBE, the Materials Project).
Intensities are scaled so that the largest is 100.

Peak list (10 most intense, 10 to 80 degrees two-theta, in order of rising 2θ)
- (0 0 1), 2θ = 13.39°, intensity 100.0
- (1 0 0), 2θ = 27.91°, intensity 15.9
- (1 0 1), 2θ = 31.08°, intensity 74.0
- (1 0 2), 2θ = 39.21°, intensity 55.9
- (1 1 0), 2θ = 49.38°, intensity 22.0
- (0 1 3), 2θ = 50.29°, intensity 24.2
- (1 1 1), 2θ = 51.41°, intensity 17.6
- (0 2 1), 2θ = 59.51°, intensity 10.6
- (0 2 2), 2θ = 64.79°, intensity 11.9
- (1 1 4), 2θ = 77.53°, intensity 8.9
*/
[Worked solution]
1.
Theoretical XRD peak list of ErHfZn4 for copper Kα, from DFT lattice parameters and positions (PBE).
Neutral-atom scattering factors, no anomalous dispersion.

Most intense lines, 10° ≤ 2θ ≤ 80°, in order of rising 2θ:
2θ (°)	I/Imax
23.32	25.8
36.38	100.0
40.98	60.0
47.69	4.0
55.94	28.6
56.82	7.6
62.25	3.8
71.64	26.9
72.41	21.5
74.65	9.7

Atomic structure:
```
data_ErHfZn4
_chemical_formula_sum 'Er1 Hf1 Zn4'
_cell_length_a 3.241
_cell_length_b 4.405
_cell_length_c 7.627
_cell_angle_alpha 90.00
_cell_angle_beta 90.00
_cell_angle_gamma 90.00
_symmetry_space_group_name_H-M 'P 1'
_symmetry_Int_Tables_number 1
loop_
_symmetry_equiv_pos_as_xyz
'x,y,z'
loop_
_atom_site_label
_atom_site_type_symbol
_atom_site_fract_x
_atom_site_fract_y
_atom_site_fract_z
Er1 Er 0.000 0.000 0.000
Hf1 Hf 0.000 0.500 0.500
Zn1 Zn 0.500 0.000 0.339
Zn2 Zn 0.500 0.000 0.661
Zn3 Zn 0.500 0.500 0.175
Zn4 Zn 0.500 0.500 0.825
```

***

2.
Theoretical XRD peak list of K2HgI4 for copper Kα, from DFT lattice parameters and positions (PBE).
Neutral-atom scattering factors, no anomalous dispersion.

Most intense lines, 10° ≤ 2θ ≤ 80°, in order of rising 2θ:
2θ (°)	I/Imax
11.85	34.5
14.66	15.1
17.63	100.0
20.09	29.6
23.83	50.0
29.57	19.6
30.43	41.2
31.19	29.3
33.57	26.1
44.28	31.1

Atomic structure:
```
data_K2HgI4
_chemical_formula_sum 'K4 Hg2 I8'
_cell_length_a 9.096
_cell_length_b 9.096
_cell_length_c 10.713
_cell_angle_alpha 103.22
_cell_angle_beta 103.22
_cell_angle_gamma 117.05
_symmetry_space_group_name_H-M 'P 1'
_symmetry_Int_Tables_number 1
loop_
_symmetry_equiv_pos_as_xyz
'x,y,z'
loop_
_atom_site_label
_atom_site_type_symbol
_atom_site_fract_x
_atom_site_fract_y
_atom_site_fract_z
K1 K 0.073 0.927 0.750
K2 K 0.324 0.676 0.250
K3 K 0.676 0.324 0.750
K4 K 0.927 0.073 0.250
Hg1 Hg 0.375 0.625 0.750
Hg2 Hg 0.625 0.375 0.250
I1 I 0.163 0.648 0.905
I2 I 0.244 0.260 0.595
I3 I 0.260 0.244 0.095
I4 I 0.352 0.837 0.595
I5 I 0.648 0.163 0.405
I6 I 0.740 0.756 0.905
I7 I 0.756 0.740 0.405
I8 I 0.837 0.352 0.095
```

* * * * *

No. 1
This entry pairs a crystal structure of CePtRh with its theoretical XRD peak list. Radiation: CuKα. Structure: a DFT-relaxed cell (PBE, the Materials Project).
Intensities are scaled so that the largest is 100.

Peak list (10 most intense, 10 to 80 degrees two-theta, in order of rising 2θ)
- (0 1 1), 2θ = 19.90°, intensity 26.7
- (1 1 2), 2θ = 32.97°, intensity 36.3
- (1 2 1), 2θ = 38.69°, intensity 50.0
- (0 1 3), 2θ = 38.80°, intensity 49.7
- (1 0 3), 2θ = 38.92°, intensity 25.4
- (2 1 1), 2θ = 39.06°, intensity 100.0
- (0 2 2), 2θ = 40.43°, intensity 48.2
- (2 0 2), 2θ = 40.91°, intensity 45.1
- (2 3 1), 2θ = 62.63°, intensity 25.3
- (2 2 4), 2θ = 69.15°, intensity 41.8

Atomic structure:
Unit cell a=5.387 b=5.479 c=7.687 alpha=90.00 beta=90.00 gamma=90.00
Space group Imma (No. 74)
Unique sites:
Ce 0.000 0.250 0.126 (multiplicity 4)
Pt 0.250 0.250 0.750 (multiplicity 4)
Rh 0.000 0.000 0.500 (multiplicity 4)


No. 2
This entry pairs a crystal structure of ZrS2 with its theoretical XRD peak list. Radiation: CuKα. Structure: a DFT-relaxed cell (PBE, the Materials Project).
Intensities are scaled so that the largest is 100.

Peak list (10 most intense, 10 to 80 degrees two-theta, in order of rising 2θ)
- (0 0 1), 2θ = 13.39°, intensity 100.0
- (1 0 0), 2θ = 27.91°, intensity 15.9
- (1 0 1), 2θ = 31.08°, intensity 74.0
- (1 0 2), 2θ = 39.21°, intensity 55.9
- (1 1 0), 2θ = 49.38°, intensity 22.0
- (0 1 3), 2θ = 50.29°, intensity 24.2
- (1 1 1), 2θ = 51.41°, intensity 17.6
- (0 2 1), 2θ = 59.51°, intensity 10.6
- (0 2 2), 2θ = 64.79°, intensity 11.9
- (1 1 4), 2θ = 77.53°, intensity 8.9